[File]
<<<
No. 1
The following is a SCAN calculation of a crystal of Ni4Pt5 relaxed with PBEsol, from the Alexandria database.

Calculated values
Energy ... -416.84 eV per cell
E_form ... -0.1309 eV/atom
Energy relative to the lowest polymorph listed for this composition ... 0 meV/atom
Density of states at the Fermi level ... 5.0 states/eV/f.u.
Space group ... I4/mmm (139)

a = 3.795 Å, b = 5.902 Å, c = 5.902 Å
α = 84.07°, β = 71.25°, γ = 71.25°
Last column: magnetic moment on the atom in μB.
Sites, in units of the cell vectors:
Pt1 0.330 0.341 0.000  0.16
Pt2 0.000 0.000 0.000  0.14
Pt3 0.330 0.000 0.341  0.16
Pt4 0.670 0.659 0.000  0.16
Pt5 0.670 0.000 0.659  0.16
Ni1 0.343 0.657 0.657  1.10
Ni2 0.000 0.343 0.657  1.10
Ni3 0.657 0.343 0.343  1.10
Ni4 0.000 0.657 0.343  1.10

=====

No. 2
The following is a SCAN calculation of a crystal of Ni3Pt2 relaxed with PBEsol, from the Alexandria database.

Calculated values
Energy ... -379.09 eV per cell
E_form ... -0.1274 eV/atom
Energy relative to the lowest polymorph listed for this composition ... 0 meV/atom
Density of states at the Fermi level ... 2.7 states/eV/f.u.
Space group ... Pm (6)

a = 2.654 Å, b = 6.304 Å, c = 7.660 Å
α = 104.17°, β = 90.00°, γ = 90.00°
Last column: magnetic moment on the atom in μB.
Sites, in units of the cell vectors:
Ni1 0.000 0.979 0.989  0.99
Ni2 0.000 0.605 0.808  1.02
Ni3 0.000 0.421 0.205  0.99
Ni4 0.500 0.892 0.710  0.86
Ni5 0.000 0.802 0.391  1.09
Ni6 0.500 0.701 0.096  1.07
Pt1 0.500 0.300 0.917  0.25
Pt2 0.500 0.096 0.280  0.26
Pt3 0.500 0.519 0.502  0.29
Pt4 0.000 0.187 0.602  0.14

=====

No. 3
The following is a SCAN calculation of a crystal of NiPt relaxed with PBEsol, from the Alexandria database.

Calculated values
Energy ... -520.09 eV per cell
E_form ... -0.1575 eV/atom
Density of states at the Fermi level ... 1.1 states/eV/f.u.
Space group ... P2/m (10)

a = 4.579 Å, b = 5.311 Å, c = 6.386 Å
α = 90.00°, β = 90.48°, γ = 90.00°
Last column: magnetic moment on the atom in μB.
Sites, in units of the cell vectors:
Ni1 0.500 0.000 0.000  1.18
Ni2 0.832 0.500 0.674  0.90
Ni3 0.000 0.736 0.000  1.15
Ni4 0.168 0.500 0.326  0.90
Ni5 0.000 0.264 0.000  1.15
Ni6 0.500 0.500 0.000  1.14
Pt1 0.330 0.256 0.678  0.30
Pt2 0.832 0.000 0.684  0.29
Pt3 0.168 0.000 0.316  0.29
Pt4 0.670 0.744 0.322  0.30
Pt5 0.670 0.256 0.322  0.30
Pt6 0.330 0.744 0.678  0.30

=====

No. 4
The following is a SCAN calculation of a crystal of NiPt relaxed with PBEsol, from the Alexandria database.

Calculated values
Energy ... -519.63 eV per cell
E_form ... -0.1189 eV/atom
Density of states at the Fermi level ... 1.4 states/eV/f.u.
Space group ... P1 (1)

a = 4.572 Å, b = 5.886 Å, c = 6.435 Å
α = 111.18°, β = 90.43°, γ = 104.95°
Last column: magnetic moment on the atom in μB.
Sites, in units of the cell vectors:
Ni1 0.161 0.495 0.167  1.10
Ni2 0.912 0.244 0.409  1.04
Ni3 0.000 0.011 0.009  1.00
Ni4 0.594 0.251 0.086  1.09
Ni5 0.669 0.000 0.665  0.92
Ni6 0.749 0.753 0.250  1.11
Pt1 0.494 0.496 0.483  0.31
Pt2 0.073 0.747 0.577  0.30
Pt3 0.247 0.245 0.761  0.32
Pt4 0.333 0.997 0.329  0.27
Pt5 0.431 0.764 0.921  0.27
Pt6 0.836 0.499 0.845  0.29

=====

No. 5
The following is a SCAN calculation of a crystal of NiPt5 relaxed with PBEsol, from the Alexandria database.

Calculated values
Energy ... -367.39 eV per cell
E_form ... -0.0417 eV/atom
Density of states at the Fermi level ... 6.7 states/eV/f.u.
Space group ... P4/mmm (123)

a = 2.743 Å, b = 2.743 Å, c = 11.375 Å
α = 90.00°, β = 90.00°, γ = 90.00°
Last column: magnetic moment on the atom in μB.
Sites, in units of the cell vectors:
Pt1 0.000 0.000 0.650  0.42
Pt2 0.500 0.500 0.826  0.36
Pt3 0.500 0.500 0.174  0.36
Pt4 0.000 0.000 0.350  0.42
Pt5 0.000 0.000 0.000  0.45
Ni1 0.500 0.500 0.500  1.10

=====

No. 6
The following is a SCAN calculation of a crystal of Ni5Pt7 relaxed with PBEsol, from the Alexandria database.

Calculated values
Energy ... -573.65 eV per cell
E_form ... -0.1195 eV/atom
>>>

[Job]
Next, quote all of the contents further above without altering anything.

[Done]
No. 1
The following is a SCAN calculation of a crystal of Ni4Pt5 relaxed with PBEsol, from the Alexandria database.

Calculated values
Energy ... -416.84 eV per cell
E_form ... -0.1309 eV/atom
Energy relative to the lowest polymorph listed for this composition ... 0 meV/atom
Density of states at the Fermi level ... 5.0 states/eV/f.u.
Space group ... I4/mmm (139)

a = 3.795 Å, b = 5.902 Å, c = 5.902 Å
α = 84.07°, β = 71.25°, γ = 71.25°
Last column: magnetic moment on the atom in μB.
Sites, in units of the cell vectors:
Pt1 0.330 0.341 0.000  0.16
Pt2 0.000 0.000 0.000  0.14
Pt3 0.330 0.000 0.341  0.16
Pt4 0.670 0.659 0.000  0.16
Pt5 0.670 0.000 0.659  0.16
Ni1 0.343 0.657 0.657  1.10
Ni2 0.000 0.343 0.657  1.10
Ni3 0.657 0.343 0.343  1.10
Ni4 0.000 0.657 0.343  1.10

=====

No. 2
The following is a SCAN calculation of a crystal of Ni3Pt2 relaxed with PBEsol, from the Alexandria database.

Calculated values
Energy ... -379.09 eV per cell
E_form ... -0.1274 eV/atom
Energy relative to the lowest polymorph listed for this composition ... 0 meV/atom
Density of states at the Fermi level ... 2.7 states/eV/f.u.
Space group ... Pm (6)

a = 2.654 Å, b = 6.304 Å, c = 7.660 Å
α = 104.17°, β = 90.00°, γ = 90.00°
Last column: magnetic moment on the atom in μB.
Sites, in units of the cell vectors:
Ni1 0.000 0.979 0.989  0.99
Ni2 0.000 0.605 0.808  1.02
Ni3 0.000 0.421 0.205  0.99
Ni4 0.500 0.892 0.710  0.86
Ni5 0.000 0.802 0.391  1.09
Ni6 0.500 0.701 0.096  1.07
Pt1 0.500 0.300 0.917  0.25
Pt2 0.500 0.096 0.280  0.26
Pt3 0.500 0.519 0.502  0.29
Pt4 0.000 0.187 0.602  0.14

=====

No. 3
The following is a SCAN calculation of a crystal of NiPt relaxed with PBEsol, from the Alexandria database.

Calculated values
Energy ... -520.09 eV per cell
E_form ... -0.1575 eV/atom
Density of states at the Fermi level ... 1.1 states/eV/f.u.
Space group ... P2/m (10)

a = 4.579 Å, b = 5.311 Å, c = 6.386 Å
α = 90.00°, β = 90.48°, γ = 90.00°
Last column: magnetic moment on the atom in μB.
Sites, in units of the cell vectors:
Ni1 0.500 0.000 0.000  1.18
Ni2 0.832 0.500 0.674  0.90
Ni3 0.000 0.736 0.000  1.15
Ni4 0.168 0.500 0.326  0.90
Ni5 0.000 0.264 0.000  1.15
Ni6 0.500 0.500 0.000  1.14
Pt1 0.330 0.256 0.678  0.30
Pt2 0.832 0.000 0.684  0.29
Pt3 0.168 0.000 0.316  0.29
Pt4 0.670 0.744 0.322  0.30
Pt5 0.670 0.256 0.322  0.30
Pt6 0.330 0.744 0.678  0.30

=====

No. 4
The following is a SCAN calculation of a crystal of NiPt relaxed with PBEsol, from the Alexandria database.

Calculated values
Energy ... -519.63 eV per cell
E_form ... -0.1189 eV/atom
Density of states at the Fermi level ... 1.4 states/eV/f.u.
Space group ... P1 (1)

a = 4.572 Å, b = 5.886 Å, c = 6.435 Å
α = 111.18°, β = 90.43°, γ = 104.95°
Last column: magnetic moment on the atom in μB.
Sites, in units of the cell vectors:
Ni1 0.161 0.495 0.167  1.10
Ni2 0.912 0.244 0.409  1.04
Ni3 0.000 0.011 0.009  1.00
Ni4 0.594 0.251 0.086  1.09
Ni5 0.669 0.000 0.665  0.92
Ni6 0.749 0.753 0.250  1.11
Pt1 0.494 0.496 0.483  0.31
Pt2 0.073 0.747 0.577  0.30
Pt3 0.247 0.245 0.761  0.32
Pt4 0.333 0.997 0.329  0.27
Pt5 0.431 0.764 0.921  0.27
Pt6 0.836 0.499 0.845  0.29

=====

No. 5
The following is a SCAN calculation of a crystal of NiPt5 relaxed with PBEsol, from the Alexandria database.

Calculated values
Energy ... -367.39 eV per cell
E_form ... -0.0417 eV/atom
Density of states at the Fermi level ... 6.7 states/eV/f.u.
Space group ... P4/mmm (123)

a = 2.743 Å, b = 2.743 Å, c = 11.375 Å
α = 90.00°, β = 90.00°, γ = 90.00°
Last column: magnetic moment on the atom in μB.
Sites, in units of the cell vectors:
Pt1 0.000 0.000 0.650  0.42
Pt2 0.500 0.500 0.826  0.36
Pt3 0.500 0.500 0.174  0.36
Pt4 0.000 0.000 0.350  0.42
Pt5 0.000 0.000 0.000  0.45
Ni1 0.500 0.500 0.500  1.10

=====

No. 6
The following is a SCAN calculation of a crystal of Ni5Pt7 relaxed with PBEsol, from the Alexandria database.

Calculated values
Energy ... -573.65 eV per cell
E_form ... -0.1195 eV/atom